March 2005 – Tips & Topics

Written by Admin | Mar 6, 2005 1:36:57 PM

Calculated crystals from another source follow
No. 1
This record from the Materials Project database describes crystalline LiTl6Si2O7 at its relaxed geometry. The functional is PBE.

Summary:
The size of the total moment is 1.01 μB/f.u. The formation energy is -1735 meV per atom. As for the mass density: 6.249 g cm⁻³. The crystal system is triclinic. As for the distance to the lowest polymorph of the same formula: 0.000 eV per atom. As for the space group: P1, No. 1.

Cell lengths 5.1511, 8.9593, 9.2323 Å; angles 61.00, 88.00, 88.73 degrees
Sites, in units of the cell vectors:
Li 0.0000 0.0000 0.0000
Tl 0.0112 0.6163 0.4952
Tl 0.0267 0.1135 0.2452
Tl 0.0777 0.6601 0.0827
Tl 0.4526 0.2382 0.8017
Tl 0.4631 0.8538 0.6264
Tl 0.4931 0.3556 0.3343
Si 0.4994 0.8432 0.2168
Si 0.9309 0.1651 0.5906
O 0.0038 0.3545 0.4441
O 0.3608 0.9535 0.0350
O 0.3833 0.6447 0.3033
O 0.4181 0.9273 0.3375
O 0.8200 0.8383 0.1958
O 0.9374 0.1318 0.7771
O 0.9840 0.0097 0.5517

***

No. 2
This record from the Materials Project database describes crystalline BaLu2F8 at its relaxed geometry. The functional is PBE.

Summary:
The size of the total moment is 0.00 μB/f.u. The formation energy is -4426 meV per atom. As for the mass density: 6.828 g cm⁻³. The crystal system is orthorhombic. As for the space group: Pnma, No. 62.

Cell lengths 6.9307, 8.1092, 22.1276 Å; angles 90.00, 90.00, 90.00 degrees
Sites, in units of the cell vectors:
Ba 0.1066 0.2500 0.1355
Ba 0.2132 0.7500 0.1205
Ba 0.2868 0.2500 0.6205
Ba 0.3934 0.7500 0.6355
Ba 0.6066 0.2500 0.3645
Ba 0.7132 0.7500 0.3795
Ba 0.7868 0.2500 0.8795
Ba 0.8934 0.7500 0.8645
Lu 0.1572 0.5189 0.2866
Lu 0.1572 0.9811 0.2866
Lu 0.2432 0.5212 0.4722
Lu 0.2432 0.9788 0.4722
Lu 0.2568 0.0212 0.9722
Lu 0.2568 0.4788 0.9722
Lu 0.3428 0.0189 0.7866
Lu 0.3428 0.4811 0.7866
Lu 0.6572 0.5189 0.2134
Lu 0.6572 0.9811 0.2134
Lu 0.7432 0.5212 0.0278
Lu 0.7432 0.9788 0.0278
Lu 0.7568 0.0212 0.5278
Lu 0.7568 0.4788 0.5278
Lu 0.8428 0.0189 0.7134
Lu 0.8428 0.4811 0.7134
F 0.0209 0.0175 0.7974
F 0.0209 0.4825 0.7974
F 0.0584 0.0636 0.5490
F 0.0584 0.4364 0.5490
F 0.0602 0.0049 0.0546
F 0.0602 0.4951 0.0546
F 0.0686 0.7500 0.3346
F 0.1431 0.5334 0.6880
F 0.1431 0.9666 0.6880
F 0.1672 0.2500 0.9246
F 0.1684 0.2500 0.2682
F 0.1981 0.7500 0.5284
F 0.2016 0.7500 0.9791
F 0.2247 0.0599 0.3778
F 0.2247 0.4401 0.3778
F 0.2438 0.7500 0.2408
F 0.2562 0.2500 0.7408
F 0.2753 0.5599 0.8778
F 0.2753 0.9401 0.8778
F 0.2984 0.2500 0.4791
F 0.3019 0.2500 0.0284
F 0.3316 0.7500 0.7682
F 0.3328 0.7500 0.4246
F 0.3569 0.0334 0.1880
F 0.3569 0.4666 0.1880
F 0.4314 0.2500 0.8346
F 0.4398 0.5049 0.5546
F 0.4398 0.9951 0.5546
F 0.4416 0.5636 0.0490
F 0.4416 0.9364 0.0490
F 0.4791 0.5175 0.2974
F 0.4791 0.9825 0.2974
F 0.5209 0.0175 0.7026
F 0.5209 0.4825 0.7026
F 0.5584 0.0636 0.9510
F 0.5584 0.4364 0.9510
F 0.5602 0.0049 0.4454
F 0.5602 0.4951 0.4454
F 0.5686 0.7500 0.1654
F 0.6431 0.5334 0.8120
F 0.6431 0.9666 0.8120
F 0.6672 0.2500 0.5754
F 0.6684 0.2500 0.2318
F 0.6981 0.7500 0.9716
F 0.7016 0.7500 0.5209

Volume 2, No. 11
March 2005

In this issue
– Until Next Time

Welcome to the March edition of TIPS and TOPICS. Spring is in the air for us here in California, but not yet for other parts of the country; and certainly not for our readers Down Under. Sorry that autumn is coming for you, unless you like cold weather, which I do not as I get older.


Last month I started reviewing some Discharge categories being codified for an outcomes reporting system for treatment programs. (If you missed February’s edition, click on “Read Back Issues” on the home page at

I promised to complete the rest of those categories this month. Here they are.


    • Uncover the values and hidden attitudes of your current Discharge Categories

In February, I discussed item (a) in this list of what seems a reasonable and typical list of Discharge categories:

(a) Successfully completed all aspects of the program
(b) Discharged but with minimal participation

(c) Transferred to another service

(d) Left at staff request/discharged for noncompliance

(e) Left against staff advice/AMA

B. Discharged but with minimal participation
We have all worked with people who sign themselves into treatment, and then seem to do the bare minimum to participate. You feel like you’re pulling teeth to elicit any meaningful investment in treatment. The time comes when you feel that enough is enough. Either the clock has run out – if you are a fixed length of stay program – or you feel like you are getting nowhere, so might as well discharge the person. So “Discharged but with minimal participation” seems to be a reasonable category.

But think about it.

If the client or consumer is so passive in their participation —-
Then there’s a good chance the treatment plan and services you are providing are not meaningful to the client. If you are doing all the work, the treatment plan may be your plan, not the client’s. So rather than discharging the person, the treatment plan needs re-working. Fresh and new conversation with the client is essential to craft a different approach – one in which the client is invested, and one they are willing to actively implement.

C. Transferred to another service
If the client wants treatment, but not at the current level of care—–
Then the new plan may mean transfer to another service or site of care within the continuum of care. That may make sense to do. Weigh it up. If you frequently transfer people to other services away from your agency, consider why it is you are repeatedly losing clients to other programs. It could mean you are not providing the services needed. Perhaps it’s time to re-look at your Mission Statement, examine if it needs broadening.

If the client has changed his/her mind, really doesn’t want treatment any more, and chooses no further treatment—-
Then the Discharge category is just that: Chooses no further treatment.

    • There are times when it is appropriate to ask a client to leave – when the client is doing time, not doing treatment.

D. Left at staff request/discharged for noncompliance
SAVVY tip 2 addresses this. I believe “Left at staff request/discharged for noncompliance” is an ill- advised Discharge category. Here is why.

If the individual is not making sufficient effort in his/her recovery plan, and your impulse is to invoke this Discharge category—–
Then first check to see if you have a “customer” for the treatment plan. If a person is not adhering to the plan, it may be a lousy plan. It needs to be renegotiated and changed with the client.

If the client knows what to do, but doesn’t want to do it—–
Then they are choosing no further treatment. The client has chosen to leave. They are not a “bad client” whom you must now discharge for being non- compliant. For example, if a client is struggling with substance use or depression or both, your experience and expertise tells you total abstinence, therapy or antidepressants are the preferred treatments to recommend. You expect client compliance with proven methods.

The client however believes controlled use or less use would work for them; or therapy only but no medication; or medication but no therapy. If the client is not in imminent danger of harming himself or others, we cannot override his will. However we do want to work with the client to try to attract him into recovery.

What exactly does “attract” look like?

The clinician and client collaborate, for example, on a controlled drinking experiment; or a ‘therapy with no medication plan’ or vice versa. Together we agree if that plan works, then we continue the plan- i.e. if the substance use is in control or the depression is lifting, then we continue the existing plan. However, if the outcomes are poor, the substance use is still causing problems, the depression is worsening, we must change the plan in a positive direction. The client agrees to this.

What if it becomes clear the plan is actually not working, yet the client still insists on doing the same unsuccessful strategies? If the outcomes are not improving, the client is doing time not treatment. This is the time to make a shift – either to a “no treatment” monitoring/treatment plan or simply a “stopping of treatment” plan.

A “no treatment” treatment plan means we are not pretending to do treatment. We are merely monitoring the person for safety, a person who may have a severe and persistent mental illness.

A “stopping of treatment” plan means that the client and clinician agree to disagree, and therefore discontinue a treatment relationship.

For example, with mandated cases, we inform the referral source we are no longer doing treatment. We believe continued use of the same strategies – unsuccessful to this point- do not qualify as active treatment. It is not useful, accurate and real feedback for the client to be under the impression that doing time in a program is doing treatment. The probation officer, judge, employer or child protection worker would call the question. It is their decision whether to invoke the consequences of non- adherence to treatment.

The bottom line is this: We are encouraging a collaborative treatment plan to which the client agrees to adhere. It is not a passive treatment plan or program with which the client will comply, or else be asked to leave.

E. Left against staff advice/AMA
This implies that the client had to ‘vote’ their dissatisfaction with the treatment by signing out, possibly after a tug-of-war with the staff. Should a client disagree with the plan and level of care, it is the staff’s responsibility to initiate a review of the treatment plan with them. If you can design a new plan, one the client agrees to adhere to, then implement that. It may however involve a change in level of care or site of service.

What if no agreement can be reached with the client for a variety of reasons? Maybe the client wants treatment which is unethical- e.g. wanting large doses of methadone when objective signs indicate over- sedation or over-medication. It could be a client wants services beyond the mission of the program -e.g. the female client who wants her teenage children living with her in the program, when there is a necessary age limit for children. In these cases, the client does not have to sign out and leave. She has options. She can choose to continue services within the ethics and mission of the program. Or she can choose no further treatment at that agency where the services available are mismatched with what she wants.

The appropriate Discharge category would then be: Chooses no further treatment; or Transferred to another site of care within the continuum of care; or Referred to another agency.


Last month, I posed some common questions clients and families ask – questions related to addiction treatment and programs. I suggested how I would answer them. Clients with major depression, schizophrenic or bipolar disorders usually don’t ask these questions, but the implications for engaging and collaborating with the client are the same. Here were the questions:

Q1. “How long do I have to be here and when will I be done?”

Q2. “Why do I have to come to all these groups and be here so often?”

I received the following request from Bill Bauer of Burlington, Iowa:

In the SKILLS section in Vol. 2 No. 10, last month on Q.1 on page 3 and Q.2 on page 4, you set up very practical examples for your lesson. I wish you had gone one step further and set out a treatment plan you would have used in each of those scenarios. What would you consider an appropriate treatment plan? I recognize from all you’ve written, it must be specific to the individual.

I get similar requests for more examples to help with documentation, so here are some ideas. Keep in mind that the principle is to have a treatment plan that speaks to the client and what they want help with. It isn’t about wordsmithing the perfect problem, goal and treatment strategies.

    • Tips on Q1. “How long do I have to be here and when will I be done?”

Here are the questions to explore with the client before documenting the plan.

–>What does the client want? To get her children back, not serenity and sobriety or excellent parenting skills. She may not even feel she has a drug or parenting problem. You then join the client in helping her get her children back. What will drive the plan is to prove to the child protection worker that she does not have a drug or parenting problem.

–> How will we prove that she is a good parent with no drug problem, and therefore fit to have her children back? Identify with the client the life areas and behaviors that would show her to be a responsible, non drug-using parent: a clean, safe living situation for her with the children free of any negative boyfriend relationships; adequate income derived from legal and safe sources; consistent control of substance use; and parenting skills to handle frustration, to exercise consistent discipline and limit setting strategies etc. If, as the child protection worker suspects, the client does indeed have a parenting problem along with a substance use problem, then that will reveal itself in poor outcomes of the service plan. If this is truly a collaborative plan, she will clearly adhere to this to prove her point. If it is your plan with which she must comply, don’t be surprised if she’s not invested in it.

What might that look like in a collaborative treatment plan?

Priority/ Problem #1: I want to show that I have full control over my substance use.
Goal: Demonstrate consistent, stable drug- free functioning.
Strategies: 1. Random urine drug testing to build a track record of consistent control of substance use.
2. Substance abuse group to share what leisure activities and friends she has and get feedback on whether these will help her control substance use or not.

Priority/ Problem #2: I believe I am a good parent with good child raising and coping skills.
Goal: Apply parenting skills in a variety of situations to strengthen and prove her parenting abilities.
Strategies: 1. Parenting skills group once a week to identify difficult parenting situations and discuss which ones she does well with and which ones need improvement.
2. Give several examples in her own family of how she applies those skills already.
3. Practice in role plays some of these tough situations to show how well she can handle them and/or get feedback on how to improve.

    • Tips on Q2: Why do I have to come to all these groups and be here so often?

Here are some of the questions you ask yourself – your internal thought processes- before you get to writing down the treatment plan.

–> What does the client want? The focus is on helping the client to accumulate positive data that demonstrates her adequate parenting skills and drug stability. If there is a steady and consistent accumulation of data proving her adequate parenting skills, it will shorten how often and for how long the client will need to attend groups etc. If the data is trending in the opposite direction, that makes it impossible to decrease active involvement and attendance.

–> How will we prove that she is a good parent who has no drug problem and is therefore fit to have her children back? The various members of the team will monitor the progress of the strategies in the treatment plan. The parenting skills group leader will document to what degree the client is able to identify what she is doing well, and which situations she finds more challenging. If she is doing well at identifying and role-playing parenting skills, we will develop an increasing database of information that verifies she indeed is the good parent she believes, supporting her desire to get her children back.

However, actions like not showing for the group, passive listening, non-participation, or failure to offer to group her examples of how she is applying this already in her family, will make it hard to remove the parenting skills group from her service plan. Or if the client has several positive urine drug screens, even misses the appointment to get tested, it provides data in the opposite direction of demonstrating stability and control of her substance use.

What might that look like in a collaborative treatment plan subsequent to the initial plan?

Priority/ Problem #1: I am having trouble with positive urine results and control of my substance use.
Goal: Regain control of my substance use and identify what gets me off track.
Strategies: 1. Develop a log of when I use or have the strongest urge to use to identify what situations are most difficult.
2. In Substance abuse group get ideas on how others cope with the situation identified as most difficult.

Priority/ Problem #2: I am having trouble getting to groups consistently and sharing what I do well and not so well as a parent.
Goal: Identify what is interfering with consistent attendance and active participation about my parenting skills.
Strategies: 1. Review in an individual session what her usual day looks like; what strategies would help her show she is more responsible and reliable than it so far appears.
2. In Parenting skills group, be the first to speak up, so as to practice putting her needs first rather than passively waiting until an opening in the group process appears.

Bottom Line
It is not the specific wording to obsess about. Perfect wording is not what it’s all about. It is about making the documentation and treatment planning process a conversation about what is important to the client, and how to get there from here. If it is not a living treatment plan that engages the client and strengthens the alliance, then it is just paperwork.

We need more peoplework—–not paperwork!


I heard recently that preschoolers laugh about 400 times in a day. Some adults laugh about 15 times a day, and others only about once or twice per day. As I was exercising yesterday, I saw Jerry Seinfeld interviewed. He was his usual funny and insightful self, and gave me my daily quotient of laughs all in about five minutes.
I won’t quote the old thing about how few muscles it takes to smile versus how many muscles it takes to frown—- that is old stuff which might make you groan and frown. The other thing Seinfeld said that caught my attention was how much he enjoys what he does. I guess it is easier to enjoy that when he’s not on a counselor’s salary level. Nevertheless, his point was that a lot of people in show business get success, then complain about the paparazzi, or become mean and entitled. He does seem to enjoy what he does in a way that brings joy and smiles to a lot of us.

When the Seinfeld show first started, they had great difficulty convincing the higher ups that you could make a successful comedy show focused for 20 minutes on one subject like waiting in line at a Chinese restaurant. The conventional wisdom was that it wouldn’t work. I’m glad Seinfeld et al persevered and believed in what they did. It has brightened the day for millions for years.

This all made me think about what I believe in, and how much I enjoy what I am doing. It also made me think about what action I need to take on anything I don’t believe in or enjoy. I’ll check my laughter meter on that to identify where to start. What are your numbers for today……400, 15 or 1?


John T, writes:

I know there is no firm common consensus on what the criteria are for prognosis in addictions treatment. But we are required to give one to keep referents happy and as a result we do give our best ‘guesstimate’ based on our experience. For example I worked case management with homeless alcoholics for several years. What I would consider a good or improving prognosis would appear fairly grim for someone exiting intensive outpatient. When I worked at an inpatient facility for a fairly affluent clientele, it obviously required you to dig deeper into their state of being assessing beyond their outward appearance and resources. Thus I have worked with ‘winos’ who were recovering with more success than millionaires. We can’t be afraid to say what we see and admit how a person’s treatment went. When someone is able to run out their resources while in treatment, what’s wrong with saying just that – we couldn’t help them and from our experience it doesn’t look very good for them. We have explained to them why we believe this. As care providers our professional/personal knowledge base tends to revolve around the people we serve that we have known that for years. We need to learn to trust it. Are the courts, probation departments, lawyers and insurance companies willing to accept this?

My response

I agree that we need to be straight forward with prognosis. I would try to stay with reporting level of function however, not comments about their compliance with a program we have constructed.

For example, I might say: “The client achieved and maintained abstinence (if that was one of the agreed upon goals of treatment); and that we verified that with family and random urine testing etc. The client’s methods to prevent further uncontrolled substance use and drug related problems have worked in the course of treatment here. S/he has achieved a level of stability and does not appear to be in immediate danger of continued problematic use. However, the client never achieved agreement that s/he had an addiction problem and believes that s/he will have no further trouble with legal problems. Prognosis is questionable as the client’s methods for avoiding further drug-related problems long term have not usually been found to be effective in the population of people we have served previously.”

I know this is long winded, but it seeks to explain what the client has achieved and puts the emphasis on function, not completing a program. Also it does not simply say “Poor Prognosis” without explaining the rationale.

Until Next Time

Thanks for joining me for TIPS and TOPICS this month. See you in April.
